Exercise
Print everything underneath with every line break kept, please.

File
........
No. 1
A plane-wave DFT calculation with GGA-PBE was carried out for an optimized crystal structure of Nd2NbSi.

abc: 10.972 10.972 10.972
angles: 17.13 17.13 17.13
Sites, in units of the cell vectors:
Nd 0.093 0.093 0.093
Nd 0.907 0.907 0.907
Nb 0.000 0.000 0.000
Si 0.500 0.500 0.500

Properties
For the density, the calculation gives 6.8 g/cm3. Its space group is R-3m, No. 166. The calculation puts the uncorrected formation energy at 498 meV/atom. Its density of states at the Fermi level is 5.0 states/eV/cell.

---

No. 2
A plane-wave DFT calculation with GGA-PBE was carried out for an optimized crystal structure of NdNbSi2.

abc: 6.873 6.873 6.873
angles: 32.85 32.85 32.85
Sites, in units of the cell vectors:
Nd 0.000 0.000 0.000
Nb 0.500 0.500 0.500
Si 0.236 0.236 0.236
Si 0.764 0.764 0.764

Properties
For the density, the calculation gives 5.7 g/cm3. Its space group is R-3m, No. 166. The calculation puts the uncorrected formation energy at -427 meV/atom. Its density of states at the Fermi level is 1.0 states/eV/cell.


Entry from Alexandria: crystalline Y2CoGeO6 at its relaxed geometry (GGA+U).

Values from the calculation:
Mass density in g/cm3: 5.89
Calculated volume in Å³/atom: 11.4
Electronic total energy in eV/atom: -7.746

Cell: 5.315 5.651 7.605 Å, 90.00 89.44 90.00°
Atoms (fractional coordinates):
Co (0.000, 0.500, 0.500)
Ge (0.000, 0.500, 0.000)
O (0.795, 0.818, 0.553)
Co (0.500, 0.000, 0.000)
Y (0.021, 0.929, 0.251)
Y (0.521, 0.571, 0.751)
Y (0.979, 0.071, 0.749)
O (0.887, 0.540, 0.239)
O (0.678, 0.290, 0.561)
........

Solution
No. 1
A plane-wave DFT calculation with GGA-PBE was carried out for an optimized crystal structure of Nd2NbSi.

abc: 10.972 10.972 10.972
angles: 17.13 17.13 17.13
Sites, in units of the cell vectors:
Nd 0.093 0.093 0.093
Nd 0.907 0.907 0.907
Nb 0.000 0.000 0.000
Si 0.500 0.500 0.500

Properties
For the density, the calculation gives 6.8 g/cm3. Its space group is R-3m, No. 166. The calculation puts the uncorrected formation energy at 498 meV/atom. Its density of states at the Fermi level is 5.0 states/eV/cell.

---

No. 2
A plane-wave DFT calculation with GGA-PBE was carried out for an optimized crystal structure of NdNbSi2.

abc: 6.873 6.873 6.873
angles: 32.85 32.85 32.85
Sites, in units of the cell vectors:
Nd 0.000 0.000 0.000
Nb 0.500 0.500 0.500
Si 0.236 0.236 0.236
Si 0.764 0.764 0.764

Properties
For the density, the calculation gives 5.7 g/cm3. Its space group is R-3m, No. 166. The calculation puts the uncorrected formation energy at -427 meV/atom. Its density of states at the Fermi level is 1.0 states/eV/cell.


Entry from Alexandria: crystalline Y2CoGeO6 at its relaxed geometry (GGA+U).

Values from the calculation:
Mass density in g/cm3: 5.89
Calculated volume in Å³/atom: 11.4
Electronic total energy in eV/atom: -7.746

Cell: 5.315 5.651 7.605 Å, 90.00 89.44 90.00°
Atoms (fractional coordinates):
Co (0.000, 0.500, 0.500)
Ge (0.000, 0.500, 0.000)
O (0.795, 0.818, 0.553)
Co (0.500, 0.000, 0.000)
Y (0.021, 0.929, 0.251)
Y (0.521, 0.571, 0.751)
Y (0.979, 0.071, 0.749)
O (0.887, 0.540, 0.239)
O (0.678, 0.290, 0.561)